To see what can protect your plants, first look around at the ground outdoors. In there somewhere is an important element that protects and strengthens your plants when you supply it in your hydroponics garden.
That element is silica, which is the second most abundant element in the earth’s crust (oxygen is the most prevalent). Silica is an absolutely essential building block for the entire structure of your plants.
But the startling fact is that silica is missing from hydroponics root zones and fertilizers.
This is a cause of concern because your plants desperately need silica. They need to intake it so it becomes part of their cell walls which are the building blocks of all the structural features that determine the strength of your plants’ stems, leaves, flowers, floral structures, essential oils.
Not only do your plants accumulate silicon to build their cells, they also store it as protection and foundational support between cells.
Plants that are fully armored with the right type of silica formula are going to better resist powdery mildew, molds, insects and other problems.
In fact, your plants contain as much as 10% of their weight as silica. So when you realize that silica isn’t supplied at all in most hydroponics fertilizers or root zone media, and even if it is, it usually isn’t the right type or amount of silica to maximize silica’s benefits as a crop protector and potency enhancer, that’s when you look for a safe, easy to use silica supplement to help your plants.
Providing silica to your crops is necessary no matter what type of hydroponics system or nutrients you’re using, and it’s a way of adding protection, size and potency to your harvests.
[Here the page breaks off for records of crystals]
********
1.
Compound: Ba2TiAu
Source: Alexandria via LeMat-Bulk
Functional: SCAN
Structure: PBEsol geometry

space group: Fm-3m, No. 225
magnetization: 4.5 μB/f.u.
formation enthalpy at 0 K: 165 meV per atom
D(E_F): 3.6 states/eV/cell

Unit cell a=5.641 b=5.641 c=5.641 alpha=60.00 beta=60.00 gamma=60.00
Atoms (fractional coordinates):
Au: 0.500 0.500 0.500
Ba: 0.250 0.250 0.250
Ba: 0.750 0.750 0.750
Ti: 0.000 0.000 0.000

2.
Compound: BaTl2Au
Source: Alexandria via LeMat-Bulk
Functional: SCAN
Structure: PBEsol geometry

space group: R3m, No. 160
magnetization: 0.0 μB/f.u.
formation enthalpy at 0 K: -479 meV per atom
D(E_F): 1.9 states/eV/cell

Unit cell a=4.871 b=4.871 c=6.549 alpha=68.17 beta=68.17 gamma=60.00
Atoms (fractional coordinates):
Tl: 0.029 0.029 0.914
Tl: 0.793 0.793 0.620
Au: 0.434 0.434 0.699
Ba: 0.244 0.244 0.267

3.
Compound: Ba2TlAu
Source: Alexandria via LeMat-Bulk
Functional: SCAN
Structure: PBEsol geometry

space group: P4mm, No. 99
magnetization: 0.0 μB/f.u.
formation enthalpy at 0 K: -521 meV per atom
D(E_F): 2.4 states/eV/cell

Unit cell a=4.678 b=4.678 c=7.068 alpha=90.00 beta=90.00 gamma=90.00
Atoms (fractional coordinates):
Tl: 0.000 0.000 0.442
Au: 0.500 0.500 0.829
Ba: 0.000 0.000 0.909
Ba: 0.500 0.500 0.320

4.
Compound: Ba2TlAu
Source: Alexandria via LeMat-Bulk
Functional: SCAN
Structure: PBEsol geometry

space group: P4/mmm, No. 123
magnetization: 0.0 μB/f.u.
formation enthalpy at 0 K: -696 meV per atom
D(E_F): 3.7 states/eV/cell

Unit cell a=3.981 b=3.981 c=8.446 alpha=90.00 beta=90.00 gamma=90.00
Atoms (fractional coordinates):
Tl: 0.500 0.500 0.000
Au: 0.500 0.500 0.500
Ba: 0.000 0.000 0.729
Ba: 0.000 0.000 0.271

5.
Compound: BaTl2Au
Source: Alexandria via LeMat-Bulk
Functional: SCAN
Structure: PBEsol geometry

space group: Fm-3m, No. 225
magnetization: 0.0 μB/f.u.
formation enthalpy at 0 K: -298 meV per atom
D(E_F): 1.8 states/eV/cell

Unit cell a=5.346 b=5.346 c=5.346 alpha=60.00 beta=60.00 gamma=60.00
Atoms (fractional coordinates):
Tl: 0.250 0.250 0.250
Tl: 0.750 0.750 0.750
Au: 0.500 0.500 0.500
Ba: 0.000 0.000 0.000

6.
Compound: Ba2TlAu
Source: Alexandria via LeMat-Bulk
Functional: SCAN
Structure: PBEsol geometry

space group: Pmm2, No. 25
magnetization: 0.0 μB/f.u.
formation enthalpy at 0 K: -678 meV per atom
D(E_F): 1.9 states/eV/cell

Unit cell a=3.991 b=5.796 c=5.797 alpha=90.00 beta=90.00 gamma=90.00
Atoms (fractional coordinates):
Tl: 0.500 0.000 0.625
Au: 0.500 0.500 0.124
Ba: 0.000 0.000 0.125
Ba: 0.000 0.500 0.625

Please write out number 4 again, unchanged.
Compound: Ba2TlAu
Source: Alexandria via LeMat-Bulk
Functional: SCAN
Structure: PBEsol geometry

space group: P4/mmm, No. 123
magnetization: 0.0 μB/f.u.
formation enthalpy at 0 K: -696 meV per atom
D(E_F): 3.7 states/eV/cell

Unit cell a=3.981 b=3.981 c=8.446 alpha=90.00 beta=90.00 gamma=90.00
Atoms (fractional coordinates):
Tl: 0.500 0.500 0.000
Au: 0.500 0.500 0.500
Ba: 0.000 0.000 0.729
Ba: 0.000 0.000 0.271

=====

[1]
********
For example, if you’re growing in coco coir, rockwool, aeroponics, aquaponics, or other “sterile” hydroponics methods, you’ve got a serious silica deficiency that weakens your crops, lowers their potency, and makes them more susceptible to disease, stress and other attackers.
If you’re growing in soil, you might believe your silica levels are ok, but research shows that adding silica to gardening soil increases the amount of silica absorbed by your plants and built into their structures. Along with that, be aware that once your plants have absorbed any silica that might possibly be present in soil or whatever else you’re growing in, they of course won’t be able to absorb any more- because there isn’t any more for them to absorb!
And yet even they have a constant need for more and more silica, especially during peak bloom phase.
The deal is that your plants intake silica, make it part of their structure, and then they need more when they build new structures. When is this most important?
Number one, your plants need this silica when they are in veg phase building the structure your branches will need to handle huge floral clusters in bloom phase.
Number two, you’ll get more potent and larger harvests when you feed silica during peak bloom phase when flowers are swelling up overnight, fattening, ripening and adding trichomes.
Calculated crystals from another source follow >
/*
# YNiNO2 (GGA+U, relaxed)
data_YNiNO2
_chemical_formula_sum 'Y1 Ni1 N1 O2'
_space_group_name_H-M_alt 'P 1'
_space_group_IT_number 1
_cell_length_a 3.797
_cell_length_b 3.797
_cell_length_c 3.753
_cell_angle_alpha 90.00
_cell_angle_beta 90.00
_cell_angle_gamma 90.00
loop_
_space_group_symop_operation_xyz
'x,y,z'
loop_
_atom_site_label
_atom_site_type_symbol
_atom_site_fract_x
_atom_site_fract_y
_atom_site_fract_z
Y1 Y 0.000 0.000 0.000
Ni1 Ni 0.500 0.500 0.500
N1 N 0.500 0.500 0.000
O1 O 0.000 0.500 0.500
O2 O 0.500 0.000 0.500
# Crystal system: tetragonal
# Space group: P4/mmm (123)
# E_tot: -6.5388 eV/atom
# Magnetic moment: 0.0082 μB per atom


Arrangement a

This record from Alexandria describes a PBEsol-optimized structure of LaZrCu2. The functional is meta-GGA SCAN.

Values from the calculation:
Theoretical density (Mg/m³): 7.44
V (Å³/f.u.): 79.8
D(E_F) (states/eV/atom): 1.2986
Crystal system: orthorhombic
Total magnetic moment (μB/f.u.): 0.00

Cell: 4.239 5.744 5.744 Å, 34.77 90.00 90.00°
Positions (direct):
La 0.000 0.000 0.000
Zr 0.500 0.293 0.293
Cu 0.000 0.728 0.728
Cu 0.500 0.599 0.599

Arrangement b

This record from Alexandria describes a PBEsol-optimized structure of LaZrCu2. The functional is meta-GGA SCAN.

Values from the calculation:
Theoretical density (Mg/m³): 7.56
V (Å³/f.u.): 78.4
D(E_F) (states/eV/atom): 0.9245
Crystal system: tetragonal
Total magnetic moment (μB/f.u.): 0.61

Cell: 3.346 3.346 7.006 Å, 90.00 90.00 90.00°
Positions (direct):
La 0.000 0.000 0.000
Zr 0.000 0.000 0.500
Cu 0.500 0.500 0.305
Cu 0.500 0.500 0.695

The computed energies, referenced to the most stable structure and given in meV per atom, are arrangement a 88; arrangement b 0.

Arrangement a

This record from Alexandria describes a PBEsol-optimized structure of LiCu5. The functional is meta-GGA SCAN.

Values from the calculation:
Theoretical density (Mg/m³): 6.80
V (Å³/f.u.): 79.3
D(E_F) (states/eV/atom): 0.3014
Crystal system: hexagonal
Total magnetic moment (μB/f.u.): 0.00

Cell: 4.775 4.775 4.014 Å, 90.00 90.00 120.00°
Positions (direct):
Li 0.000 0.000 0.000
Cu 0.000 0.500 0.500
Cu 0.333 0.667 0.000
Cu 0.500 0.000 0.500
Cu 0.500 0.500 0.500
Cu 0.667 0.333 0.000

Arrangement b

This record from Alexandria describes a PBEsol-optimized structure of LiCu5. The functional is meta-GGA SCAN.

Values from the calculation:
Theoretical density (Mg/m³): 7.88
V (Å³/f.u.): 68.4
D(E_F) (states/eV/atom): 0.3439
Crystal system: monoclinic
Total magnetic moment (μB/f.u.): 0.00

Cell: 4.830 4.830 6.076 Å, 104.88 104.88 30.03°
Positions (direct):
Li 0.000 0.000 0.000
Cu 0.274 0.274 0.052
Cu 0.337 0.337 0.665
Cu 0.615 0.615 0.717
Cu 0.671 0.671 0.335
Cu 0.947 0.947 0.386

Arrangement c

This record from Alexandria describes a PBEsol-optimized structure of LiCu5. The functional is meta-GGA SCAN.

Values from the calculation:
Theoretical density (Mg/m³): 7.24
V (Å³/f.u.): 74.4
D(E_F) (states/eV/atom): 0.2242
Crystal system: cubic
Total magnetic moment (μB/f.u.): 0.00
*/
During bloom phase, your plants channel most of their energy, metabolic processes and materials towards building flowers and floral structures, such as trichomes.
As you’re aware, the most important of your floral structures are trichomes, where the highest-value essential oils, aromatics and resins are made and stored.
Of course, trichomes are very fragile, easily damaged and subject to degradation from light, heat, oxidation and aging.
### Between two parts of the article: data records
'''
LiLa4Ru2 PBE-GGA optimized geometry; E = -5.903 eV per atom
1.0
-5.155 -2.500 4.834
-3.944 -4.704 -4.317
8.670 -1.396 2.485
Ru La Li
4 8 2
direct
0.611 0.855 0.389
0.093 0.355 0.502
0.398 0.159 0.003
0.783 0.528 0.888
0.879 0.005 0.237
0.284 0.593 0.193
0.968 0.179 0.710
0.782 0.492 0.209
0.484 0.108 0.738
0.846 0.658 0.690
0.426 0.722 0.914
0.440 0.237 0.414
0.175 0.727 0.558
0.081 0.130 0.055

~~~~~

Entry 1:
V4Ir2N: relaxed, PBE.

It has space group I4/mmm (No. 139), with a = 3.905 Å, b = 3.905 Å, c = 12.398 Å, α = 90.00°, β = 90.00° and γ = 90.00°. The asymmetric unit holds V at (0.000, 0.000, 0.169), V at (0.000, 0.500, 0.000), Ir at (0.000, 0.000, 0.357) and N at (0.000, 0.000, 0.000).

The value obtained for the total energy is -9.33 eV per atom. Its energy relative to the lowest polymorph listed for this composition is 192 meV/atom. For the uncorrected formation energy, the calculation gives -0.396 eV/atom.

Entry 2:
LiMg4Ag5: relaxed, PBE.

It has space group P4/mmm (No. 123), with a = 3.319 Å, b = 3.319 Å, c = 16.385 Å, α = 90.00°, β = 90.00° and γ = 90.00°. The asymmetric unit holds Li at (0.000, 0.000, 0.000), Mg at (0.000, 0.000, 0.194), Mg at (0.000, 0.000, 0.398), Ag at (0.500, 0.500, 0.092), Ag at (0.500, 0.500, 0.296) and Ag at (0.500, 0.500, 0.500).

The value obtained for the total energy is -2.49 eV per atom.

Entry 3:
BaLi10Hg3: relaxed, PBE.

It has space group Fm-3m (No. 225), with a = 13.947 Å, b = 13.947 Å, c = 13.947 Å, α = 90.00°, β = 90.00° and γ = 90.00°. The asymmetric unit holds Ba at (0.250, 0.250, 0.250), Li at (0.000, 0.170, 0.170), Li at (0.107, 0.107, 0.393) and Hg at (0.000, 0.000, 0.266).

The value obtained for the total energy is -1.70 eV per atom.

Entry 4:
NaCdCl2F: relaxed, PBE.

It has space group P4/mmm (No. 123), with a = 5.268 Å, b = 5.268 Å, c = 4.345 Å, α = 90.00°, β = 90.00° and γ = 90.00°. The asymmetric unit holds Na at (0.000, 0.000, 0.000), Cd at (0.500, 0.500, 0.500), Cl at (0.000, 0.500, 0.500) and F at (0.500, 0.500, 0.000).

The value obtained for the total energy is -3.14 eV per atom. Its energy relative to the lowest polymorph listed for this composition is 121 meV/atom. For the uncorrected formation energy, the calculation gives -1.583 eV/atom.

Entry 5:
Zr4ZnSb: relaxed, PBE.

It has space group P4/mcc (No. 124), with a = 6.730 Å, b = 6.730 Å, c = 5.741 Å, α = 90.00°, β = 90.00° and γ = 90.00°. The asymmetric unit holds Zr at (0.144, 0.339, 0.000), Zn at (0.000, 0.000, 0.250) and Sb at (0.500, 0.500, 0.250).

The value obtained for the total energy is -6.95 eV per atom. Its energy relative to the lowest polymorph listed for this composition is 0 meV/atom. For the uncorrected formation energy, the calculation gives -0.351 eV/atom.

Entry 6:
Cr2AgAu: relaxed, PBE.
'''
### End of the data records
Indeed, a key indicator of when your plants are ready for harvest is that trichomes begin to fall, lose their crystal-clarity, and disappear off of floral surfaces.
Silica is a trichome builder that gives you higher-value crops that produce more essential oils, terpenoids, and resins so your friends, family and consumers are more impressed than ever by the quality and potency of your flowers. Imagine your peak bloom phase in which your trichomes are more resilient, larger, longer-lasting, more packed with the natural goodness you seek from your crops.
That’s exactly what happens when you add silica to your garden.
But there’s even more…silica armors your plants against the tiny sucking faces of mites, aphids, thrips and other pests.
So when you’re ready to armor your indoor gardening plants against biting insects, diseases, and harsh conditions while increasing the structure, material support and metabolism that creates larger and more potent harvests, get Rhino Skin today to immediately provide the extra silica your plants need.